My Best Friend's Brother and I

Chapter Twenty Seven

Gerard’s POV

Here the article breaks off for calculated molecules:
........
# 1
C19H29NO5P2SeTi | ωB97M-V/def2-TZVPD

As for the LUMO energy (spin up / spin down): -0.1 / -0.3 eV. The value obtained for the energy above the lowest of the compared OMol25 structures with the same formula, charge and spin is 0.0 kcal per mole. The HOMO energy (spin up / spin down) comes out at -6.456 / -8.931 eV. As for the spin multiplicity: 3.

Geometry (Å):
Ti -0.25 -0.10 -0.41
C -2.48 -0.23 1.99
C -2.28 0.84 1.11
C -1.30 1.79 1.38
C -0.53 1.68 2.54
C -0.75 0.63 3.42
C -1.72 -0.33 3.14
H -3.24 -0.97 1.78
H -2.91 0.96 0.24
H -1.14 2.63 0.72
H 0.24 2.41 2.74
H -0.16 0.55 4.33
H -1.89 -1.15 3.83
C -3.28 -2.74 -0.73
P -2.04 -1.66 -1.52
C -3.07 -0.73 -2.70
C -1.18 -2.86 -2.63
C 0.04 -2.23 -3.30
P 1.18 -1.52 -2.04
C 2.06 -2.99 -1.41
C 2.45 -0.70 -3.04
H -3.80 -3.36 -1.46
H -4.01 -2.13 -0.20
H -2.79 -3.40 0.00
H -3.65 -1.39 -3.34
H -2.42 -0.08 -3.30
H -3.74 -0.08 -2.15
H -1.89 -3.25 -3.37
H -0.87 -3.71 -2.00
H -0.26 -1.40 -3.94
H 0.56 -2.95 -3.93
H 2.50 -3.57 -2.22
H 1.38 -3.63 -0.84
H 2.85 -2.65 -0.74
H 2.82 -1.36 -3.82
H 3.27 -0.41 -2.37
H 2.04 0.22 -3.46
O -0.02 3.74 -1.00
Se 0.45 2.35 -1.65
O 1.22 1.39 -0.47
O -0.86 1.30 -1.83
O 1.33 2.41 -2.98
O 3.66 0.29 0.13
H 4.06 0.97 0.69
H 2.84 0.71 -0.20
N 0.77 -1.19 1.17
C 1.56 -1.65 1.87
C 2.55 -2.22 2.74
C 2.15 -2.91 3.88
C 3.12 -3.45 4.71
C 4.47 -3.29 4.40
C 4.85 -2.60 3.26
C 3.89 -2.06 2.42
H 1.10 -3.02 4.11
H 2.83 -3.99 5.60
H 5.22 -3.72 5.05
H 5.90 -2.48 3.02
H 4.16 -1.49 1.53

Okay, here come the Löwdin numbers, in e, for every atom: 0.49, -0.10, -0.15, -0.11, -0.06, -0.09, -0.10, 0.09, 0.11, 0.09, 0.12, 0.11, 0.10, -0.27, 0.81, -0.26, -0.41, -0.40, 0.83, -0.25, -0.24, 0.05, 0.03, 0.04, 0.05, 0.04, 0.05, 0.09, 0.08, 0.09, 0.09, 0.05, 0.04, 0.03, 0.05, 0.04, 0.03, -0.44, 0.81, -0.58, -0.57, -0.44, -0.08, 0.05, -0.02, 0.14, -0.08, -0.20, -0.03, -0.07, -0.07, -0.06, -0.02, 0.12, 0.11, 0.11, 0.11, 0.10



# 2
C19H30AsBrMoN2O9S2SbSe4Si2 | ωB97M-V/def2-TZVPD

Its total charge is -1. As for the LUMO energy (spin up / spin down): 0.9 / 1.4 eV. The value obtained for the energy above the lowest of the compared OMol25 structures with the same formula, charge and spin is 0.0 kcal per mole. The HOMO energy (spin up / spin down) comes out at -4.870 / -4.874 eV. As for the spin multiplicity: 3.

Geometry (Å):
Mo -0.62 0.36 -0.66
N -0.87 2.33 0.32
C 0.45 2.93 0.65
C 1.41 1.78 0.84
O 2.72 2.12 0.80
O 1.13 0.78 -0.10
H -1.40 2.97 -0.27
H -1.42 2.16 1.17
H 0.38 3.50 1.58
H 0.80 3.56 -0.16
O 0.73 -5.06 -3.73
C 0.47 -3.90 -3.09
C -0.45 -2.97 -3.56
C -0.65 -1.84 -2.81
N 0.00 -1.55 -1.67
C 0.89 -2.46 -1.25
Br 1.90 -2.14 0.30
C 1.15 -3.64 -1.92
H 0.16 -5.13 -4.51
H -1.03 -3.13 -4.46
H -1.36 -1.10 -3.15
H 1.88 -4.33 -1.53
O -2.41 0.77 2.00
S -2.12 -0.65 2.00
O -1.67 -1.25 3.22
O -1.16 -0.99 0.87
C -3.72 -1.37 1.65
C -4.43 -1.71 2.79
C -5.77 -2.06 2.71
C -6.41 -2.06 1.49
C -5.71 -1.75 0.34
C -4.36 -1.41 0.41
S -3.51 -1.30 -1.15
O -2.66 -0.06 -1.05
O -4.51 -1.12 -2.17
O -2.71 -2.50 -1.22
H -3.92 -1.68 3.75
........

Man, this sucks! I really wanted Maddie in the band. But according to her we’re perfect. Ha! That’s a good one.
I sighed as I sat on the couch, waiting for my turn in the shower, and of course I’m last.

“Whatcha doing’?” Maddie asked as she plopped down next to me.
“Nothing, waiting for my turn in the damn shower.” I laughed.
“Yeah, you need one...You smell like a dead cat.” She joked plugging her nose.
“You are so dead!” I giggled and tickled her all over.
“Ahh! Gee no! Stop! I can’t breathe!” Her laugh was so amazing. It sounded like a song ringing through the house.
“Not until you take it back!” I continued to tickle her.
“Fine! I take it back! You smell like beautiful daisies on a spring morning!” She chuckled at her usage of words.
I raised my eyebrow at her. “Beautiful daisies on a spring morning? What have you been smoking?”
“Oh, a little of this… little of that.” She said jokingly.
“You are so weird.” I smiled and kissed her sweetly.
“Not in the living room!” Ray yelled as he quickly turned on his heels back into the kitchen.
Maddison and I laughed at Ray’s odd behavior.
“Aww…. Know what I just noticed?” Maddison sighed and laid back into the couch.
“What?” I asked curiously.
“School starts again on Monday.” She rolled her eyes.
“Oh yeah, you’re right.” I agreed.
“Ha! When am I ever wrong?” She laughed.
“You said one time that you could out run me. And you still have yet to do so!” Frank laughed as he came into the living room with wet hair.
“Yes! My turn!” Maddison sang and skipped to the bathroom.
“Ha ha! You have to take a cold shower.” Frank giggled as he picked up the remote and started flipping through the channels.
“Shut up Frankie.” I laughed and hit him with a pillow.
“Oh aggressive are we?” Frank raised an eyebrow and grabbed one of the bigger pillows and attacked my face with it.
“Frank! Ouch!” I yelled and grabbed a pillow my self and started hitting him with it.
This went on for a few minutes until Mikey came and ruined our fun.
“Children, children please!” He laughed.
“Aww Mikes, why do you always have to ruin the fun?” Frank asked out of breath.
“Because I’m the only responsible one in this house.” He laughed and threw the pillow back.
“Yeah right.” Frank muttered sitting back down.
“I heard that!” Mikey shouted picking up another pillow and throwing it at Frank.
Frank dodged it quickly. “Wow, the Way brothers have some anger issues huh?”
“GET HIM!” I yelled and Mikey and I both attacked Frank with pillows.
“Not fair!” Frank giggled.
“I’ll save you Frankie!” We heard a voice yell from the stairs.
The next thing we knew we were getting drenched by a super soaker.
“Ahhhh! Maddie cut it out!” Mikey giggled and fell to the floor.
She finally stopped and we were all on the floor drenched.
“Where the hell did you get that?” I asked sitting up.
“I found it.” Maddie shrugged.
“Oh. Well, does this mean I don’t have to take a shower now?” I chuckled.
“GO!” Everyone laughed and pointed towards the bathroom.
I sighed. “You guys are all in trouble if the water is cold!” I yelled over my shoulder as I made my way to the bathroom, to enjoy what I hopped was a hot shower.